Following In His Father’s Footsteps
Rabbi Frand on Parshas Toldos
There is an interesting Medrash in Parshas V’Zos HaBracha. The Medrash teaches that if a Chazan errs in his public repetition of the Shmoneh Esrei and needs to be replaced, his replacement begins from the beginning of the blessing in which the error was made. The source of this ruling comes from the practice of the Patriarchs.
Avraham blessed Yitzchak and gave him all that he had: (VAYITEN Avraham es kol asher lo l’Yitzchak) [Bereishis 25:5]. When Yitzchak, following the path of his father, gave a blessing to his son (Yaakov) he began with V’YITEN Lecha Elokim (Bereishis 27:28).
Yitzchak concluded his blessing to Yaakov with the verb “Vayikra,” as it is written “Vayikra Yitzchak el Yaakov vaYevarech oso” [And Yitzchak called out to Yaakov and he blessed him] [Bereishis 28:1]. So too, when Yaakov was ready to bless his sons, he decided to begin his blessings with the word where his father left off as it is written “Vayikra Yaakov el banav” [and Yaakov called for his sons] [Bereishis 49:1].
Yaakov concluded his blessing to his sons with the word “V’Zos”: “V’Zos asher diber lahem avihem” [And this is what their father spoke to them] [Bereishis 49:28] and Moshe therefore began his final blessing to the Jewish people with the word “V’Zos” as it is written “V’Zos HaBracha asher beirach Moshe…” [And this is the blessing that Moshe bestowed…] [Devorim 33:1].
The Medrash continues — Moshe ended his blessing with the words “Ashrecha Yisrael mi kamocha” [Happy are you Israel who is like you] [Devorim 33:29] and Dovid haMelech [King David] began his blessing with the words “Ashrei Yoshvei Beisecha” [Happy are those who dwell in your house] [Tehillim 84:5].
**Someone pasted molecular data at this point**
+++
Molecular formula: C19H12AuF3N2OS2
Method: DFT, wB97M-V/def2-TZVPD

```
40
Properties=species:S:1:pos:R:3:forces:R:3:mulliken_spin:R:1
Au 0.55757 -0.74436 0.77247 0.2 0.2 0.1 0.5376
O 2.65803 -1.50811 0.45971 0.0 0.1 0.1 0.1180
N 2.73038 -2.81131 0.29840 0.0 0.0 0.0 0.0464
C 3.88967 -3.28534 -0.21116 0.0 0.0 0.0 -0.0244
C 4.07787 -4.62172 -0.43261 0.0 -0.1 0.0 0.0438
C 3.04725 -5.51209 -0.12975 0.1 0.0 0.0 -0.0228
C 1.88070 -5.01674 0.39674 0.0 0.0 0.0 0.0366
C 1.71279 -3.64625 0.62855 0.0 -0.2 0.0 -0.0174
S 0.26091 -3.03141 1.33689 0.0 -0.1 -0.1 0.3290
H 4.61437 -2.51319 -0.41670 0.0 0.0 0.0 0.0009
H 5.01871 -4.95670 -0.84314 0.0 0.0 0.0 0.0027
H 3.16225 -6.57245 -0.30416 0.0 0.0 0.0 -0.0016
H 1.05430 -5.66553 0.64923 0.0 0.0 0.0 0.0000
F -5.70866 -1.64424 -1.54311 0.0 -0.1 0.0 0.0014
C -4.58217 -2.27631 -1.14851 0.0 0.0 0.2 0.0076
F -3.98729 -2.72827 -2.25324 0.0 0.0 -0.1 0.0064
F -4.97284 -3.34782 -0.43050 0.1 0.0 -0.1 0.0016
C -3.72396 -1.34586 -0.31880 -0.2 0.0 -0.1 -0.0264
C -4.38828 -0.33572 0.35424 0.0 0.1 -0.1 -0.0137
C -3.69045 0.55610 1.14921 0.0 0.0 0.0 0.0378
C -2.32494 0.39868 1.23136 0.1 0.0 0.0 -0.0192
N -1.68567 -0.58395 0.60214 -0.1 -0.2 -0.3 0.1389
C -2.33128 -1.48193 -0.17075 -0.1 0.1 0.1 0.0218
S -1.40709 -2.74261 -0.94996 0.0 0.1 0.2 0.6510
H -5.45919 -0.24138 0.23871 0.0 0.0 0.0 -0.0003
H -4.18798 1.35650 1.67596 0.0 0.0 0.0 0.0018
H -1.69390 1.07719 1.79283 0.0 0.0 0.0 -0.0016
C 0.83606 1.23426 0.48884 0.0 -0.1 -0.1 0.2922
C 0.93467 2.41949 0.26301 0.0 0.1 0.0 -0.1453
C 1.08096 3.82613 0.00469 0.0 -0.1 0.0 0.0010
C 1.95676 4.60226 0.76577 0.0 0.0 0.0 -0.0012
C 2.09499 5.95752 0.51476 0.0 0.0 0.0 0.0014
C 1.36335 6.56010 -0.49976 0.0 0.0 0.0 -0.0024
C 0.49111 5.79556 -1.26291 0.0 0.0 0.0 0.0014
C 0.34955 4.44012 -1.01362 0.0 0.0 0.0 -0.0033
H 2.52648 4.12794 1.55386 0.0 0.0 0.0 0.0002
H 2.77861 6.54598 1.11327 0.0 0.0 0.0 0.0001
H 1.47337 7.61876 -0.69557 0.0 0.0 0.0 -0.0001
H -0.08094 6.25706 -2.05764 0.0 0.0 0.0 0.0001
H -0.32606 3.83962 -1.60874 0.0 0.0 0.0 0.0000
```
Forces are in eV/Å.

Values from the calculation:
M = 602.41 g mol⁻¹
ΔE to the lowest compared entry with this formula, charge and spin = 46.1 kJ/mol
Charge = 0
HOMO level (alpha / beta) = -7.766 / -7.986 eV
Spin multiplicity = 3
Gap between HOMO and LUMO (alpha / beta) = 7.8 / 5.9 eV
Total energy = -2147.49948 Ha
⟨S²⟩ = 2.02

* * * * *

A single C3H2ClN3O molecule at a distorted geometry, computed with ωB97M-V with the def2-TZVPD basis set.

```
10
Properties=species:S:1:pos:R:3:forces:R:3:mulliken_charge:R:1
O -0.32913 2.10078 1.38736 -0.474 -2.581 -1.870 -0.46
C -0.09770 0.92253 0.67414 -0.200 1.458 -1.830 0.46
N 1.11807 0.45760 0.79299 -0.590 -2.341 -0.054 -0.29
N 1.35910 -0.84197 0.26190 -2.190 1.358 -0.242 -0.35
C 0.35764 -1.34309 -0.44492 1.307 3.157 0.590 -0.33
C -0.73720 -0.53079 -0.89206 0.879 -4.326 -0.995 0.66
Cl -1.67227 -1.24974 -2.22676 0.333 0.746 0.677 -0.16
N -1.01636 0.52431 -0.35165 -0.329 4.895 3.856 -0.38
+++
This is more than a very cute Medrash. Each Patriarch began with the word where his predecessor left off. Obviously, the Medrash is teaching us something more than this simple word play. Before we discover what that might be, let us return to this week’s parsha — Parshas Toldos.
Sefer [the book of] Bereishis is the book of the Patriarchs. If we look at the break up of the sefer in terms of mere lines of print, the coverage given to the 3 patriarchs is far from balanced. The Patriarch Avraham is allotted the Parshiyos of Lech Lecha, Vayeara and Chayei Sarah. Next week begins the narrative of Yaakov’s life that spans Vayetzei, Vayishlach, and Vayeishev. There is a bit of a digression in Vayeishev and Miketz regarding the story of Yosef and his brothers. But then in Vayigash and Vayechi we are back to the story of Yaakov Avinu. So Avraham is the main feature of 3 Parshiyos. Yaakov arguably owns 6 Parshiyos. However, Yitzchak gets barely one Parsha (Toldos). Even within this parsha we have precious few pasukim [verses] that deal with events in which Yitzchak plays the leading role. The “middle Patriarch” apparently gets short shrift.
The point that we are coming to explain is not why Yitzchak seemingly gets short shrift, bu t rather that we really do not know much about him. We know who Avraham is. We know him as the man of Chessed [kindness]; we know him as the paradigm of mesiras nefesh [self-sacrifice] who successfully passed 10 Divine tests. In terms of word association, we link him with Chesed. Concerning Yaakov Avinu we also have a good idea. He is the Ish Emes [man of truth]. He is the paradigm of diligence in study – the Ish Tam Yoshev Ohalim [unsophisticated man who dwells constantly in the tent of Torah study].
Who is Yitzchak? More importantly, what is his contribution to us? These are our patriarchs. We know which personality traits and characteristics we derive from Avraham and Yaakov. But, what attribute is it that Yitzchak bequeathed to us?
The following idea appears in varying forms in the writings of Rav Elyakim Schlessinger, Rav Chaim Yaakov Zaichik, and Rav Matisyahu Solomon – to name just a few who deal with this issue in a similar fashion.
The true iden tity of Yitzchak Avinu is revealed in Parshas Vayeitzei, where Yaakov refers twice to his father as “Pachad Yitzchak” [Bereishis 31:41; 31:53]. The word “pachad” means fear. What does the term “Pachad Yitzchak” mean?
When we read the narrative of Parshas Toldos, one thing jumps out at us about Yitzchak. More than anything else, he wanted to replicate the life of Avraham Avinu. For instance, when there was a famine in Canaan, he went to Avimelech King of Plishtim [Bereishis Chapter 26], exactly as his father had done a generation earlier [Bereishis Chapter 20]. In fact, when he was in Gerar, Avimelech’s city, G-d appeared to him and told him “Do not go down to Egypt…”. Why would Yitzchak have considered going down to Egypt? Rashi tells us: “For his intent was to go down to Egypt, just as his father had done during the famine in his time [Bereishis Chapter 12]”.
Yitzchak Avinu’s automatic reaction to any situation in life was: “What would my father have done under these circumstances?” This is the pattern by which he lived his life: “I have to keep the tradition and the messorah [spiritual legacy] of my father”. The Almighty knows this about Yitzchak and therefore needed to intervene and tell him not to go down to Egypt as his father had done. This is Pachad Yitzchak. Yitzchak was afraid to deviate one iota from the path paved for him by his father, Avraham.
This tendency is clearly illustrated in the incident involving the wells. Yitzchak re-digs the very same wells originally dug by his father. Not only did he dig the same wells, he gave them the very same names [Bereishis 26:17-18]. Why is this incident significant enough for Jewish history that the Torah should record it for posterity? Why indeed is this one of the very few facts the Torah chooses to tell us about the life of Yitzchak Avinu? The answer is that this incident gives us the key to understanding the legacy of Yitzchak. His legacy is “I have to keep the tradition of my father.”
Throughout human history, sons do not want to keep the traditions of their fathers. The father was old fashioned; his ways are “old hat”. “That is the way my father did things, I am going to start something new!” Children typically want to make their own mark in the world. They do not want to keep the company running just the way their father – who built it from scratch – had it running. They want to “improve” processes, expand markets, update business practices, and do it “their way”.
Yitzchak did not fit into this mold. Yitzchak said: “If my father dug wells then I am going to dig the same wells. I am going to call them by the same names that my father called them.” Rabbeinu Bechaye writes explicitly: The fact that the Torah records this about Yitzchak shows it is a praiseworthy attribute and that we should learn a lesson for ourselves not to deviate from the ways of our fathers.
With this insight, we can understand the enigmatic Medrash with which we began:
My father said the blessing with the word “V’Yiten”. I too will bless my children with the word “V’Yiten”. Yaakov too learned from his father: My father ended with the word “VaYikra”, I am going to begin with the word “VaYikra”. And Moshe picked up from Yaakov with the word “V’Zos” and Dovid haMelech picked up from Moshe with the word “Ashrei”. Each generation followed the tradition of their ancestors, keeping the messorah of the patriarchs.
This is what Pachad Yitzchak means. Yitzchak was the first Patriarch to be the son of a righteous father. Avraham Avinu did not deal with the issue of a righteous father who would pass on spiritual traditions to him. Avraham was the iconoclast who had to blaze his own spiritual trail. But Yitzchak had tradition. He had a righteous father and so the role he modeled for his children was Pachad Yitzchak – the fear and hesitancy to veer one iota off the spiritual course blazed for him by his righteous fath er.
Keep the tradition of your parents. That is what Yitzchak is all about.
One may ask, was not Yitzchak also innovative? The Rambam teaches that he instituted the Mincha prayer and was the first to offer tithes [Mishneh Torah Hilchos Melachim 9:1]? Upon further analysis, however, this is not an anomaly. Yitzchak’s “innovations” were not trailblazing, new spiritual institutions. He merely buttressed the innovations of his father because he felt that he needed some added spiritual activity to achieve the same level of spirituality that his father Avraham was able to attain without these “innovations”.
Yitzchak did not say “My father prayed once a day, so it is enough that I pray once a day.” He felt “I am not as good as my father. For my father it sufficed to pray just once a day. On my lower level, I need to pray at least twice a day!” Likewise, he felt “My father did not need to quantify his feelings of hakaras hatov [gratitude] to the Almighty because it came to him naturally. I am not on his level. I must quantify my feelings of hakaras hatov. I will commit to take off ma’aser [tithes].” All this, however, was in the context of Avraham’s legacy. Ultimately, Yitzchak’s basic essence was not one of innovation; it was one of following tradition. Pachad Yitzchak: Keeping to the legacy of his father alive.
This write-up was adapted from the hashkafa portion of Rabbi Yissocher Frand’s Commuter Chavrusah Torah Tape series on the weekly Torah portion. The complete list of halachic topics covered in this series for Parshas Toldos Sarah are provided below:
Tape # 031 – Marriage Between Relatives
Tape # 073 – Non-Kosher Medicines and the Birchas Hareiach (Scents)
Tape # 122 – G’neivas Da’as: Deception and Your Fellow Man
Tape # 169 – The Blind Person in Halacha
Tape # 215 – V’sain Tal U’matar
Tape # 259 – “Sorfin Al Hachzakos”: The Concept of Chazaka in Halacha
Tape # 305 – The Bracha of “Baruch Sheptarani”
Tape # 349 – Must Mincha Have a “Chazoras Hashatz”?
Tape # 393 – Neitz Hachama vs. Tefilah B’tzibur
Tape # 437 – Accepting Tzeda ka from Women
Tape # 481 – Lying to Keep What’s Yours
Tape # 525 – Maris Ayin
Tape # 569 – Yichud With Relatives
Tape # 613 – Shiva and the Wayward Son
Tape # 657 – Fascinating Insights into the Tefilah of Mincha
Tape # 701 – Fasting on The Wedding Day
Tape # 745 – The Cost of Stealing a Mizvah
Tape # 789 – The Power of Your Own Words
Tape # 833 – Six or Ten People for Chazoras Hashatz?
Tape # 877 – Bar Mitzvah Sh’ailos
Tape # 921 – Accepting Someone Else’s Curse
Tapes or a complete catalogue can be ordered from the Yad Yechiel Institute, PO Box 511, Owings Mills MD 21117-0511. Call (410) 358-0416 or e-mail [email protected] or visit http://www.yadyechiel.org/ for further information.
RavFrand, Copyright © 2007 by Rabbi Yissocher Frand and Torah.org.